Source:
-- begin --
# 1
ORCA calculation (wB97M-V/def2-TZVPD) on C23H18BeBrCl5F5N2O4Te as an isolated structure.

Last column: Mulliken charge in e.
Element x y z (Å)
Be -1.750384 -0.333574 -0.374382  -0.7102
C -2.950567 -0.792756 3.424701  -1.1654
O -1.841743 -1.114421 2.604168  -0.1718
C -0.620620 -0.669873 2.971094  0.9195
C -0.297520 -0.116424 4.194522  -0.4048
C 1.016596 0.292306 4.406882  -0.3026
Br 1.461027 1.048295 6.093117  -0.2376
C 1.985063 0.173477 3.444659  -0.8799
C 1.653208 -0.378405 2.198706  0.4019
C 0.354847 -0.802093 1.972714  -0.1044
O -0.002395 -1.267314 0.737543  -0.3241
C 2.700022 -0.432766 1.168604  0.3442
N 3.942388 -0.079697 1.391343  -0.7732
C 4.587910 -0.249776 0.185361  0.1960
C 5.922282 -0.025826 -0.156424  -0.7799
C 6.309223 -0.281547 -1.456852  -0.4614
C 5.396056 -0.752788 -2.413607  -0.5268
C 4.070917 -0.981027 -2.096577  -0.8009
C 3.686480 -0.720893 -0.783837  0.9647
N 2.484308 -0.826743 -0.125741  0.3995
H -2.876196 -1.279286 4.400322  0.4003
H -3.824162 -1.157385 2.892574  0.2523
H -3.030845 0.289591 3.556889  0.4388
H -1.039888 0.005936 4.969006  0.4994
H 2.998668 0.505404 3.612279  0.6102
H -0.754468 -1.899016 0.770196  0.4107
H 6.623742 0.338537 0.583480  0.4296
H 7.338406 -0.115669 -1.750953  0.3644
H 5.739548 -0.940700 -3.423108  0.4010
H 3.364856 -1.341725 -2.832963  0.3780
H 1.593318 -1.150903 -0.473942  -0.2366
F -2.040208 -4.284331 -1.420784  -0.4039
Te -2.270064 -2.485037 -1.960616  1.4031
F -0.366727 -2.779328 -1.982757  -0.4944
F -4.005541 -3.230635 -2.066496  -0.3992
F -3.385795 -1.033120 -2.550868  -0.4490
F -2.061902 -2.786510 -3.785315  -0.3936
O -2.325218 -1.827487 -0.219483  -0.8574
Cl 0.252567 2.092884 0.291797  -0.1990
C -1.444045 2.255652 0.636565  1.4071
C -2.279745 1.177459 0.367413  -1.2128
C -3.631786 1.387193 0.668733  1.0494
Cl -4.771923 0.114518 0.367288  -0.1564
C -4.120328 2.585447 1.194004  -0.3072
Cl -5.796229 2.787789 1.536476  -0.2035
C -3.235494 3.632004 1.440141  0.5664
Cl -3.816666 5.121481 2.081259  -0.2108
C -1.882062 3.470742 1.160083  -0.4045
Cl -0.789419 4.765931 1.460805  -0.2164
C -1.556701 1.165807 -3.556695  -1.6083
C -0.521479 0.392434 -2.751313  0.8470
C 0.410204 -0.394168 -3.662609  -1.2971
O -1.145380 -0.467826 -1.821041  1.2942
H -1.069306 1.875006 -4.230384  0.4601
H -2.220039 1.716841 -2.886779  0.2393
H -2.168349 0.480189 -4.144103  0.2744
H 0.076886 1.107192 -2.178415  -0.0337
H -0.157725 -1.080573 -4.293341  0.3161
H 1.110307 -0.991894 -3.079223  -0.0072
H 0.972088 0.289384 -4.304095  0.4665

Forces on the atoms, in the same order (eV/Å):
Be 0.15 -0.17 -0.77
C 0.00 0.00 -0.02
O -0.09 -0.08 0.00
C 0.03 0.02 -0.03
C -0.01 0.00 0.02
C -0.03 0.01 0.03
Br 0.00 0.00 -0.01
C 0.02 -0.02 -0.05
C -0.01 0.04 0.07
C 0.08 0.03 -0.09
O -0.02 -0.02 0.31
C 0.11 -0.01 -0.15
N 0.00 0.03 0.08
C -0.02 -0.03 -0.07
C 0.02 0.00 -0.01
C 0.03 0.02 0.03
C -0.04 -0.01 -0.02
C -0.03 -0.01 0.00
C 0.00 0.02 0.05
N -0.06 -0.01 0.10
H 0.01 -0.01 0.01
H 0.00 0.00 0.02
H 0.01 0.02 0.01
H 0.00 0.00 -0.01
H 0.00 0.00 -0.02
H 0.00 0.06 0.01
H -0.02 -0.01 -0.01
H -0.01 0.00 0.01
H -0.01 0.00 0.01
H 0.03 0.00 0.01
H 0.00 -0.01 -0.08
F -0.03 -0.02 0.00
Te 0.03 0.46 0.48
F -0.13 0.15 -0.08
F 0.05 0.01 0.06
F 0.18 -0.19 -0.15
F -0.03 -0.10 0.04
O -0.17 -0.22 -0.28
Cl 0.13 -0.01 0.01
C -0.01 -0.04 -0.03
C -0.31 0.05 0.28
C 0.17 0.11 0.00
Cl 0.03 -0.03 -0.03
C 0.13 -0.11 -0.05
Cl -0.06 0.01 0.03
C 0.01 -0.04 -0.03
Cl 0.00 0.04 0.03
C -0.13 -0.04 0.03
Cl 0.07 0.03 0.01
C -0.06 0.02 0.05
C -0.07 0.07 -0.20
C 0.01 -0.04 0.02
O 0.07 0.02 0.35
H 0.02 -0.01 0.02
H 0.01 0.00 -0.02
H 0.01 0.00 0.00
H 0.01 -0.02 0.01
H -0.02 0.01 0.01
H -0.02 0.04 0.00
H -0.02 -0.01 0.02

Values from the calculation:
- Orbital gap: 0.3052 hartree
- ΔE to the lowest compared entry with this formula, charge and spin: 0.0 kcal per mole
- HOMO energy: -6.2 eV
- M: 875.18 g mol⁻¹
- Charge: -1

---

# 2
ORCA calculation (wB97M-V/def2-TZVPD) on C23H18Cl4CsIN4O4 as an isolated structure.

Last column: Mulliken charge in e.
-- stop --
To do:
Next, give back all of the entries further above exactly.
Here it is:
# 1
ORCA calculation (wB97M-V/def2-TZVPD) on C23H18BeBrCl5F5N2O4Te as an isolated structure.

Last column: Mulliken charge in e.
Element x y z (Å)
Be -1.750384 -0.333574 -0.374382  -0.7102
C -2.950567 -0.792756 3.424701  -1.1654
O -1.841743 -1.114421 2.604168  -0.1718
C -0.620620 -0.669873 2.971094  0.9195
C -0.297520 -0.116424 4.194522  -0.4048
C 1.016596 0.292306 4.406882  -0.3026
Br 1.461027 1.048295 6.093117  -0.2376
C 1.985063 0.173477 3.444659  -0.8799
C 1.653208 -0.378405 2.198706  0.4019
C 0.354847 -0.802093 1.972714  -0.1044
O -0.002395 -1.267314 0.737543  -0.3241
C 2.700022 -0.432766 1.168604  0.3442
N 3.942388 -0.079697 1.391343  -0.7732
C 4.587910 -0.249776 0.185361  0.1960
C 5.922282 -0.025826 -0.156424  -0.7799
C 6.309223 -0.281547 -1.456852  -0.4614
C 5.396056 -0.752788 -2.413607  -0.5268
C 4.070917 -0.981027 -2.096577  -0.8009
C 3.686480 -0.720893 -0.783837  0.9647
N 2.484308 -0.826743 -0.125741  0.3995
H -2.876196 -1.279286 4.400322  0.4003
H -3.824162 -1.157385 2.892574  0.2523
H -3.030845 0.289591 3.556889  0.4388
H -1.039888 0.005936 4.969006  0.4994
H 2.998668 0.505404 3.612279  0.6102
H -0.754468 -1.899016 0.770196  0.4107
H 6.623742 0.338537 0.583480  0.4296
H 7.338406 -0.115669 -1.750953  0.3644
H 5.739548 -0.940700 -3.423108  0.4010
H 3.364856 -1.341725 -2.832963  0.3780
H 1.593318 -1.150903 -0.473942  -0.2366
F -2.040208 -4.284331 -1.420784  -0.4039
Te -2.270064 -2.485037 -1.960616  1.4031
F -0.366727 -2.779328 -1.982757  -0.4944
F -4.005541 -3.230635 -2.066496  -0.3992
F -3.385795 -1.033120 -2.550868  -0.4490
F -2.061902 -2.786510 -3.785315  -0.3936
O -2.325218 -1.827487 -0.219483  -0.8574
Cl 0.252567 2.092884 0.291797  -0.1990
C -1.444045 2.255652 0.636565  1.4071
C -2.279745 1.177459 0.367413  -1.2128
C -3.631786 1.387193 0.668733  1.0494
Cl -4.771923 0.114518 0.367288  -0.1564
C -4.120328 2.585447 1.194004  -0.3072
Cl -5.796229 2.787789 1.536476  -0.2035
C -3.235494 3.632004 1.440141  0.5664
Cl -3.816666 5.121481 2.081259  -0.2108
C -1.882062 3.470742 1.160083  -0.4045
Cl -0.789419 4.765931 1.460805  -0.2164
C -1.556701 1.165807 -3.556695  -1.6083
C -0.521479 0.392434 -2.751313  0.8470
C 0.410204 -0.394168 -3.662609  -1.2971
O -1.145380 -0.467826 -1.821041  1.2942
H -1.069306 1.875006 -4.230384  0.4601
H -2.220039 1.716841 -2.886779  0.2393
H -2.168349 0.480189 -4.144103  0.2744
H 0.076886 1.107192 -2.178415  -0.0337
H -0.157725 -1.080573 -4.293341  0.3161
H 1.110307 -0.991894 -3.079223  -0.0072
H 0.972088 0.289384 -4.304095  0.4665

Forces on the atoms, in the same order (eV/Å):
Be 0.15 -0.17 -0.77
C 0.00 0.00 -0.02
O -0.09 -0.08 0.00
C 0.03 0.02 -0.03
C -0.01 0.00 0.02
C -0.03 0.01 0.03
Br 0.00 0.00 -0.01
C 0.02 -0.02 -0.05
C -0.01 0.04 0.07
C 0.08 0.03 -0.09
O -0.02 -0.02 0.31
C 0.11 -0.01 -0.15
N 0.00 0.03 0.08
C -0.02 -0.03 -0.07
C 0.02 0.00 -0.01
C 0.03 0.02 0.03
C -0.04 -0.01 -0.02
C -0.03 -0.01 0.00
C 0.00 0.02 0.05
N -0.06 -0.01 0.10
H 0.01 -0.01 0.01
H 0.00 0.00 0.02
H 0.01 0.02 0.01
H 0.00 0.00 -0.01
H 0.00 0.00 -0.02
H 0.00 0.06 0.01
H -0.02 -0.01 -0.01
H -0.01 0.00 0.01
H -0.01 0.00 0.01
H 0.03 0.00 0.01
H 0.00 -0.01 -0.08
F -0.03 -0.02 0.00
Te 0.03 0.46 0.48
F -0.13 0.15 -0.08
F 0.05 0.01 0.06
F 0.18 -0.19 -0.15
F -0.03 -0.10 0.04
O -0.17 -0.22 -0.28
Cl 0.13 -0.01 0.01
C -0.01 -0.04 -0.03
C -0.31 0.05 0.28
C 0.17 0.11 0.00
Cl 0.03 -0.03 -0.03
C 0.13 -0.11 -0.05
Cl -0.06 0.01 0.03
C 0.01 -0.04 -0.03
Cl 0.00 0.04 0.03
C -0.13 -0.04 0.03
Cl 0.07 0.03 0.01
C -0.06 0.02 0.05
C -0.07 0.07 -0.20
C 0.01 -0.04 0.02
O 0.07 0.02 0.35
H 0.02 -0.01 0.02
H 0.01 0.00 -0.02
H 0.01 0.00 0.00
H 0.01 -0.02 0.01
H -0.02 0.01 0.01
H -0.02 0.04 0.00
H -0.02 -0.01 0.02

Values from the calculation:
- Orbital gap: 0.3052 hartree
- ΔE to the lowest compared entry with this formula, charge and spin: 0.0 kcal per mole
- HOMO energy: -6.2 eV
- M: 875.18 g mol⁻¹
- Charge: -1

---

# 2
ORCA calculation (wB97M-V/def2-TZVPD) on C23H18Cl4CsIN4O4 as an isolated structure.

Last column: Mulliken charge in e.